== Excerpt ==
'''
Record 1
Material: Cr5S6
Method: DFT, PBE-GGA
State: optimized geometry

Lattice parameters (Å, degrees): 5.945 5.945 11.461 90.00 90.00 120.00
Element x y z (fractional)
Cr  0.000  0.000  0.000
Cr  0.000  0.000  0.250
Cr  0.000  0.000  0.500
Cr  0.000  0.000  0.750
Cr  0.333  0.667  0.004
Cr  0.333  0.667  0.496
Cr  0.333  0.667  0.750
Cr  0.667  0.333  0.250
Cr  0.667  0.333  0.504
Cr  0.667  0.333  0.996
S  0.007  0.339  0.876
S  0.007  0.668  0.624
S  0.332  0.339  0.624
S  0.332  0.993  0.876
S  0.339  0.007  0.376
S  0.339  0.332  0.124
S  0.661  0.668  0.876
S  0.661  0.993  0.624
S  0.668  0.007  0.124
S  0.668  0.661  0.376
S  0.993  0.332  0.376
S  0.993  0.661  0.124

Values from the calculation:
calculated density: 4.28 g/cm3
energy: -159.25 eV/cell
ΔH_f (0 K): -869 meV per atom
total magnetization: 30.532 Bohr magnetons per cell



Record 2
Material: CrS2
Method: DFT, PBE-GGA
State: optimized geometry

Lattice parameters (Å, degrees): 6.760 6.760 6.760 60.00 60.00 60.00
Element x y z (fractional)
Cr  0.000  0.000  0.000
Cr  0.000  0.000  0.500
Cr  0.000  0.500  0.000
Cr  0.500  0.000  0.000
S  0.239  0.754  0.754
S  0.246  0.246  0.246
S  0.246  0.246  0.761
S  0.246  0.761  0.246
S  0.754  0.239  0.754
S  0.754  0.754  0.239
S  0.754  0.754  0.754
S  0.761  0.246  0.246

Values from the calculation:
calculated density: 3.53 g/cm3
energy: -75.70 eV/cell
ΔH_f (0 K): -669 meV per atom
total magnetization: 0.196 Bohr magnetons per cell

----------

<1>
The following is a GGA-PBE calculation of a relaxed CaB2H8 crystal, from the Materials Project database.

## Properties
Its density is 1.09 g/cm³. Its spin magnetization is 0.00 μB/cell. For the calculated volume, the calculation gives 212 Å³ per cell.

```
data_CaB2H8
_symmetry_space_group_name_H-M 'P 42/m'
_symmetry_Int_Tables_number 84
_cell_length_a 6.9789
_cell_length_b 6.9789
_cell_length_c 4.3620
_cell_angle_alpha 90.00
_cell_angle_beta 90.00
_cell_angle_gamma 90.00
loop_
_symmetry_equiv_pos_as_xyz
'x,y,z'
'-x,-y,-z'
'-y,x,z+1/2'
'y,-x,-z+1/2'
'-x,-y,z'
'x,y,-z'
'y,-x,z+1/2'
'-y,x,-z+1/2'
loop_
_atom_site_label
_atom_site_type_symbol
_atom_site_fract_x
_atom_site_fract_y
_atom_site_fract_z
_atom_site_occupancy
Ca1 Ca 0.0000 0.5000 0.0000 1
B1 B 0.1836 0.7016 0.5000 1
H1 H 0.0099 0.6714 0.5000 1
H2 H 0.1232 0.1951 0.0000 1
H3 H 0.2611 0.6336 0.2731 1
```

***

<2>
The following is a GGA-PBE calculation of a relaxed CaB2H8 crystal, from the Materials Project database.

## Properties
Its density is 1.06 g/cm³. Its spin magnetization is 0.00 μB/cell. For the calculated volume, the calculation gives 877 Å³ per cell.

```
data_CaB2H8
_symmetry_space_group_name_H-M 'F d d 2'
_symmetry_Int_Tables_number 43
_symmetry_space_group_name_Hall 'F 2 -2d'
_cell_length_a 7.6815
_cell_length_b 13.1081
_cell_length_c 8.7069
_cell_angle_alpha 90.00
_cell_angle_beta 90.00
_cell_angle_gamma 90.00
loop_
_atom_site_label
_atom_site_type_symbol
_atom_site_fract_x
_atom_site_fract_y
_atom_site_fract_z
_atom_site_occupancy
Ca1 Ca 0.0000 0.0000 0.0000 1
B1 B 0.0072 0.2790 0.5011 1
H1 H 0.0158 0.2436 0.6316 1
H2 H 0.0192 0.2078 0.4114 1
H3 H 0.1173 0.0866 0.2410 1
H4 H 0.1201 0.4261 0.2245 1
```

***

Most stable: <2>. Least stable: <1>.

***

<1>
The following is a GGA-PBE calculation of a relaxed CaB2H8 crystal, from the Materials Project database.

## Properties
Its density is 1.09 g/cm³. Its spin magnetization is 0.00 μB/cell. For the calculated volume, the calculation gives 213 Å³ per cell.

```
data_CaB2H8
_symmetry_space_group_name_H-M 'P -4'
_symmetry_Int_Tables_number 81
_cell_length_a 6.9926
_cell_length_b 6.9926
_cell_length_c 4.3505
_cell_angle_alpha 90.00
_cell_angle_beta 90.00
_cell_angle_gamma 90.00
loop_
_symmetry_equiv_pos_as_xyz
'x,y,z'
'y,-x,-z'
'-x,-y,z'
'-y,x,-z'
loop_
_atom_site_label
_atom_site_type_symbol
_atom_site_fract_x
_atom_site_fract_y
_atom_site_fract_z
_atom_site_occupancy
Ca1 Ca 0.0000 0.5000 0.2471 1
B1 B 0.1851 0.7001 0.7472 1
H1 H 0.0116 0.6708 0.7454 1
'''

== Job ==
The reader should start at the top of the notes earlier on and copy each line, ending with the one that has "0.2471".

== Reply ==
Record 1
Material: Cr5S6
Method: DFT, PBE-GGA
State: optimized geometry

Lattice parameters (Å, degrees): 5.945 5.945 11.461 90.00 90.00 120.00
Element x y z (fractional)
Cr  0.000  0.000  0.000
Cr  0.000  0.000  0.250
Cr  0.000  0.000  0.500
Cr  0.000  0.000  0.750
Cr  0.333  0.667  0.004
Cr  0.333  0.667  0.496
Cr  0.333  0.667  0.750
Cr  0.667  0.333  0.250
Cr  0.667  0.333  0.504
Cr  0.667  0.333  0.996
S  0.007  0.339  0.876
S  0.007  0.668  0.624
S  0.332  0.339  0.624
S  0.332  0.993  0.876
S  0.339  0.007  0.376
S  0.339  0.332  0.124
S  0.661  0.668  0.876
S  0.661  0.993  0.624
S  0.668  0.007  0.124
S  0.668  0.661  0.376
S  0.993  0.332  0.376
S  0.993  0.661  0.124

Values from the calculation:
calculated density: 4.28 g/cm3
energy: -159.25 eV/cell
ΔH_f (0 K): -869 meV per atom
total magnetization: 30.532 Bohr magnetons per cell



Record 2
Material: CrS2
Method: DFT, PBE-GGA
State: optimized geometry

Lattice parameters (Å, degrees): 6.760 6.760 6.760 60.00 60.00 60.00
Element x y z (fractional)
Cr  0.000  0.000  0.000
Cr  0.000  0.000  0.500
Cr  0.000  0.500  0.000
Cr  0.500  0.000  0.000
S  0.239  0.754  0.754
S  0.246  0.246  0.246
S  0.246  0.246  0.761
S  0.246  0.761  0.246
S  0.754  0.239  0.754
S  0.754  0.754  0.239
S  0.754  0.754  0.754
S  0.761  0.246  0.246

Values from the calculation:
calculated density: 3.53 g/cm3
energy: -75.70 eV/cell
ΔH_f (0 K): -669 meV per atom
total magnetization: 0.196 Bohr magnetons per cell

----------

<1>
The following is a GGA-PBE calculation of a relaxed CaB2H8 crystal, from the Materials Project database.

## Properties
Its density is 1.09 g/cm³. Its spin magnetization is 0.00 μB/cell. For the calculated volume, the calculation gives 212 Å³ per cell.

```
data_CaB2H8
_symmetry_space_group_name_H-M 'P 42/m'
_symmetry_Int_Tables_number 84
_cell_length_a 6.9789
_cell_length_b 6.9789
_cell_length_c 4.3620
_cell_angle_alpha 90.00
_cell_angle_beta 90.00
_cell_angle_gamma 90.00
loop_
_symmetry_equiv_pos_as_xyz
'x,y,z'
'-x,-y,-z'
'-y,x,z+1/2'
'y,-x,-z+1/2'
'-x,-y,z'
'x,y,-z'
'y,-x,z+1/2'
'-y,x,-z+1/2'
loop_
_atom_site_label
_atom_site_type_symbol
_atom_site_fract_x
_atom_site_fract_y
_atom_site_fract_z
_atom_site_occupancy
Ca1 Ca 0.0000 0.5000 0.0000 1
B1 B 0.1836 0.7016 0.5000 1
H1 H 0.0099 0.6714 0.5000 1
H2 H 0.1232 0.1951 0.0000 1
H3 H 0.2611 0.6336 0.2731 1
```

***

<2>
The following is a GGA-PBE calculation of a relaxed CaB2H8 crystal, from the Materials Project database.

## Properties
Its density is 1.06 g/cm³. Its spin magnetization is 0.00 μB/cell. For the calculated volume, the calculation gives 877 Å³ per cell.

```
data_CaB2H8
_symmetry_space_group_name_H-M 'F d d 2'
_symmetry_Int_Tables_number 43
_symmetry_space_group_name_Hall 'F 2 -2d'
_cell_length_a 7.6815
_cell_length_b 13.1081
_cell_length_c 8.7069
_cell_angle_alpha 90.00
_cell_angle_beta 90.00
_cell_angle_gamma 90.00
loop_
_atom_site_label
_atom_site_type_symbol
_atom_site_fract_x
_atom_site_fract_y
_atom_site_fract_z
_atom_site_occupancy
Ca1 Ca 0.0000 0.0000 0.0000 1
B1 B 0.0072 0.2790 0.5011 1
H1 H 0.0158 0.2436 0.6316 1
H2 H 0.0192 0.2078 0.4114 1
H3 H 0.1173 0.0866 0.2410 1
H4 H 0.1201 0.4261 0.2245 1
```

***

Most stable: <2>. Least stable: <1>.

***

<1>
The following is a GGA-PBE calculation of a relaxed CaB2H8 crystal, from the Materials Project database.

## Properties
Its density is 1.09 g/cm³. Its spin magnetization is 0.00 μB/cell. For the calculated volume, the calculation gives 213 Å³ per cell.

```
data_CaB2H8
_symmetry_space_group_name_H-M 'P -4'
_symmetry_Int_Tables_number 81
_cell_length_a 6.9926
_cell_length_b 6.9926
_cell_length_c 4.3505
_cell_angle_alpha 90.00
_cell_angle_beta 90.00
_cell_angle_gamma 90.00
loop_
_symmetry_equiv_pos_as_xyz
'x,y,z'
'y,-x,-z'
'-x,-y,z'
'-y,x,-z'
loop_
_atom_site_label
_atom_site_type_symbol
_atom_site_fract_x
_atom_site_fract_y
_atom_site_fract_z
_atom_site_occupancy
Ca1 Ca 0.0000 0.5000 0.2471 1